I have done my best to be informative and enthusiastic in my food posts from Brazil but I must admit that generally speaking the food hasn't really thrilled me. That was a bold statement and maybe hindsight will change my mind but as it stands there is just one thing that I miss eating now that we have we left, and that's the fruit.
Brazil is the only tropical country in South America (or so Simone said in the cooking class!) and the fruits there are like nothing I've ever had before. Okay so we ate a lot of delicious watermelon in Korea, incredible mangoes in the Philippines and of course Britain is great for apples and strawberries...but the variety of fruits in Brazil is mindblowing and I honestly have never eaten pineapple like that before. I have a lot to tell you about and am worried I'm already writing too much so I'll try to keep the word count down...
Between two parts of the text: calculated molecules:
=====
Record 1
C10H10BrIPr | wB97M-V/def2-TZVPD

Each line ends with the Löwdin spin population.
Positions of all 23 atoms, in Å:
C: -1.9255 -0.8385 -0.8062  0.01
C: -1.7211 -1.3358 0.5031  0.00
C: -1.7771 -0.2402 1.4006  0.00
H: -1.5463 -2.3652 0.7709  0.00
C: -1.9734 0.9324 0.6459  0.00
C: -2.0465 0.5678 -0.7217  0.02
H: -2.1605 1.2454 -1.5522  0.00
H: -1.9358 -1.4220 -1.7097  0.00
H: -1.6360 -0.2910 2.4667  0.00
H: -2.0077 1.9368 1.0332  0.00
Pr: 0.0000 0.0000 0.0000  2.01
Br: 1.1425 -0.8318 -1.7600  -0.03
C: 2.7712 0.6759 -4.9094  0.00
C: 1.6809 1.4587 -5.3384  0.00
C: 0.6981 0.5908 -5.8549  0.00
H: 1.6104 2.5399 -5.2813  0.00
C: 1.1811 -0.7285 -5.7451  0.00
C: 2.4625 -0.6759 -5.1609  0.00
H: 3.0992 -1.5268 -4.9427  0.00
H: 3.6873 1.0484 -4.4631  0.00
H: -0.2617 0.8865 -6.2652  0.00
H: 0.6584 -1.6270 -6.0560  0.00
I: 1.0891 0.5540 2.8187  -0.01

Values from the calculation:
E_tot (eV): -102741.71234
HOMO (spin up / spin down) (eV): -2.612 / -2.614
Largest force on an atom (hartree/bohr): 0.270
Charge: -1
Orbital gap (spin up / spin down) (eV): 4.47 / 4.52
Spin multiplicity: 3

Record 2
C10H10BrNO | wB97M-V/def2-TZVPD

Each line ends with the natural charge from an NBO analysis.
Positions of all 23 atoms, in Å:
C: 2.3436 1.8724 -0.3185  -0.40
N: 1.0692 1.1227 -0.0823  -0.45
C: -0.0498 1.5915 -0.7027  0.65
O: -0.0745 2.6432 -1.3266  -0.60
C: -1.0357 0.5686 -0.4760  -0.13
C: -2.4202 0.4150 -0.8382  -0.16
C: -3.1424 -0.6837 -0.3545  -0.21
C: -2.5220 -1.6363 0.5059  -0.19
C: -1.2046 -1.4916 0.8439  -0.20
C: -0.5259 -0.3723 0.4010  -0.06
C: 0.9098 -0.1178 0.5976  0.20
C: 1.8824 -1.1970 0.0036  -0.64
Br: 1.4449 -0.0589 2.5566  -0.06
H: 2.9850 1.6445 0.5461  0.21
H: 2.6544 1.4196 -1.1555  0.20
H: 2.0953 2.8902 -0.2031  0.24
H: -2.8265 1.1985 -1.4200  0.23
H: -4.2078 -0.9854 -0.5840  0.23
H: -3.1896 -2.4868 0.7976  0.22
H: -0.6919 -2.2168 1.5787  0.23
H: 2.9328 -1.0034 0.2027  0.23
H: 1.8789 -1.0828 -1.1305  0.23
H: 1.6945 -2.0335 0.5581  0.23

Values from the calculation:
E_tot (eV): -84111.82339
SMILES: CN1C(=O)c2ccccc2[C@]1(C)Br
HOMO (eV): -9.487
ΔE to the lowest compared entry with this formula, charge and spin (eV): 0.3897
Largest force on an atom (hartree/bohr): 0.106
Orbital gap (eV): 9.45

Record 3
C10H10BrNS | wB97M-V/def2-TZVPD

Each line ends with the natural charge from an NBO analysis.
Positions of all 23 atoms, in Å:
C: 2.3164 2.8249 -0.5336  -0.62
C: 1.5009 1.4768 -0.5121  -0.56
S: 1.6777 0.6362 1.1046  0.32
C: 1.0046 -0.9584 0.5886  -0.19
Br: 2.3220 -1.9244 -0.5949  0.06
C: 1.1149 -1.8258 2.1895  0.25
N: 1.2099 -2.3823 3.1833  -0.35
C: -0.3899 -1.0071 0.2017  -0.19
C: -1.3857 -1.3116 1.1716  -0.16
C: -2.7340 -1.2282 0.8392  -0.20
C: -3.0278 -0.8239 -0.4373  -0.20
C: -2.0701 -0.5623 -1.4202  -0.20
C: -0.7040 -0.6736 -1.1458  -0.18
H: 1.5292 3.6070 -0.6180  0.22
H: 2.8321 2.9688 0.4263  0.22
H: 3.1019 3.0108 -1.2360  0.23
H: 1.7347 0.8932 -1.4267  0.23
H: 0.4516 1.7544 -0.6073  0.22
H: -0.9903 -1.4235 2.1915  0.24
=====
I say easy one, but we actually encountered two types of pineapple in Brazil. We didn't manage to try them side by side so cannot tell you how they differ from each other but none of it tasted like what we have in the UK. For starters, there is no woody central part. All of the flesh is edible and wow, it's juicy! It is also very sweet with hardly any of the acidity that one might expect. Definitely a winner and one of our most regularly selected juices. The taller ones you can see at the back of this photo have quite pale flesh and Dave bought a bag of it at a service station once, plucked from the back of a van and very skillfully chopped right in front of us. I will confess though, that I never bought one from the supermarket because I just don't possess the strength required to break into those bad boys!
1.
16
Properties=species:S:1:pos:R:3:forces:R:3 method="wB97M-V/def2-TZVPD" homo_lumo_gap_ev=10.2823 e_above_lowest_kcal_mol=24.4 smiles=CC1(C)C[C@H]1O fmax_ha_per_bohr=0.0065 energy_ha=-271.7138
C -0.916897 -0.225842 -1.233555 -0.0007 0.0309 -0.0264
C 0.171935 -0.019025 -0.198223 -0.0293 -0.0356 -0.0345
C 1.509183 -0.701584 -0.429489 -0.0087 -0.0351 0.0338
C 0.273886 1.303758 0.528052 0.0550 0.2013 -0.0038
C -0.321543 0.124482 1.222029 0.3249 -0.0140 0.0815
O -1.696735 0.246306 1.458485 -0.1340 -0.2723 0.0833
H -1.351969 -1.229678 -1.135354 0.1094 0.1043 -0.0674
H -1.727317 0.492042 -1.083629 0.1135 -0.1125 -0.0622
H -0.549877 -0.123861 -2.260193 0.0604 0.0384 0.1597
H 2.215426 -0.431297 0.365216 -0.1417 -0.1130 -0.0971
H 1.952980 -0.359070 -1.373608 -0.1213 -0.0660 0.1293
H 1.447223 -1.795600 -0.462053 -0.1202 0.1283 -0.0220
H 1.264209 1.631006 0.833807 -0.1700 -0.0131 -0.0836
H -0.417045 2.100653 0.270719 0.0378 -0.1257 0.0279
H 0.234597 -0.376419 2.016494 -0.0290 0.1649 -0.0994
H -2.088063 -0.635875 1.481296 0.0539 0.1192 -0.0192

=====

2.
25
Properties=species:S:1:pos:R:3:forces:R:3 method="wB97M-V/def2-TZVPD" homo_lumo_gap_ev=6.6314 e_above_lowest_kcal_mol=57.4 fmax_ha_per_bohr=0.0583 energy_ha=-737.9664
O 2.806995 0.807324 2.294266 -0.6543 -0.2438 0.1818
C 3.720480 0.453308 1.276493 -0.0065 -0.0075 -0.1514
C 3.053185 -0.430422 0.228642 -0.2145 0.5527 -0.4525
O 2.789084 -1.717206 0.945047 -0.3215 -0.9365 0.5326
C 2.031207 -2.659779 0.221476 0.3125 0.2117 -0.2096
C 0.766489 -2.997284 0.980327 0.1745 -0.6187 0.0092
O 0.091961 -1.762565 1.250291 -0.1538 0.4058 0.0238
C -1.272771 -1.893926 1.624253 -0.2100 -0.2081 -0.0418
Mg 1.344016 -0.182644 1.549481 1.6025 0.5982 -0.6195
H 4.602624 -0.055727 1.726009 -0.2580 0.0880 -0.0832
H 4.103349 1.343918 0.736109 -0.1403 -0.2123 0.1482
H 3.737780 -0.641334 -0.608727 -0.2703 0.0390 0.1459
H 2.612730 -3.578105 0.051142 -0.1272 0.1595 0.0170
H 1.753458 -2.228440 -0.753154 0.0479 -0.1144 0.1304
H 0.970755 -3.507226 1.933929 0.0039 0.1658 -0.1602
H 0.123792 -3.648869 0.370734 0.0210 0.2113 0.1097
H -1.676146 -0.881892 1.734812 0.0325 -0.2795 0.1934
H -1.832699 -2.400052 0.826463 0.1381 0.0665 0.1662
H -1.336714 -2.482469 2.550254 -0.1865 0.2809 -0.1449
O -0.155317 1.448341 -0.855412 2.1402 -2.0985 -0.1292
H 0.503708 0.663882 -1.053664 -1.6621 2.1977 0.5479
C -1.457876 1.125823 -1.265080 -0.5932 -0.3449 -0.4233
H -1.468478 0.546467 -2.205632 -0.0402 0.2222 0.2878
H -2.010657 0.546302 -0.503901 0.1282 0.0938 -0.1496
H -2.014553 2.058217 -1.435699 0.2372 -0.2288 0.0713

=====

3.
150
Properties=species:S:1:pos:R:3:forces:R:3 method="wB97M-V/def2-TZVPD" homo_lumo_gap_ev=9.4311 e_above_lowest_kcal_mol=14.8 fmax_ha_per_bohr=0.0656 energy_ha=-2857.4186
C 5.291295 -1.176203 -6.151353 0.7052 -0.0948 -0.0829
C 4.381568 -0.217099 -6.891068 -0.2316 0.6448 -0.5360
C 3.060950 -0.235891 -6.136465 0.4818 -0.9037 0.8327
O 3.153249 -1.424540 -5.253530 0.4082 1.2083 -0.5635
The entry goes on:
What are these bizarre and intriguing looking things below? Okay they are just grapes, but don't they look weird! They actually tasted pretty much like standard grapes though.
This next fruit is a custard apple. We had trouble describing the flavour of the juice, but when we tried to actual fruit it was a bit clearer - somewhere between a mango and a pear. I'm not a fan of pears so would rather just eat a delicious mango but it is definitely interesting and worth trying.
Bananas are everywhere in Brazil and there are quite a few varieties, but since they all pretty much look the same, we didn't take any photos. Now we all know how I feel about bananas so clearly I didn't do any taste testing but this is what people told me about them:
- Banana d'agua (water banana) is the kind we have in the UK and these are considered the basic banana in Brazil
- Banana ouro (gold banana) is the smallest and sweetest kind
- Banana prata (silver banana) is not very sweet and takes a long time to spoil. This kind is sometimes used in the savory dish farofa, although traditionally that should be made with...
- Banana-da-terra (plantain) is not sweet and is commonly used in savory dishes in many different countries.
Ok I can't resist any longer, I need to tell you about aƧaĆ! This was by far the most significant fruit discovery of our time in Brazil and I am going to try really hard to keep this brief. AƧaĆ berries grow on a tree in the Amazon. They look similar to blueberries and have purple juice. Because they are perishable and hard to transport, most people in Brazil only really know the fruit in frozen form. It is sold as a frozen pulp, which is then blended with sugar and sometimes honey, banana, strawberry and even guarana - a berry that contains about twice as much caffeine as a coffee bean. AƧaĆ is considered a superfood, and you may have come across it in health food shops, but the way it is prepared and eaten in Brazil means it is highly calorific. Nevertheless, people eat it in huge quantities, especially by the beach. And in Manaus, which is a city in the middle of the Amazon, we managed to try fresh juice, although it really just tasted the same as the frozen stuff.
I have heard the flavour described as being like a cross between chocolate and raspberries...I'm not sure I agree with this, but can't for the life of me think of a more accurate description! If you want to try it for yourself, either book a trip to Brazil or come and visit us in Maidenhead where, if you're lucky, we'll let you sample the aƧaĆ liqueur we brought back with us.
Below is a fruit called inga. We were given loads of it by the "local" people we visited in the Amazon. It grows in pods that are about two feet long and the black seeds are roughly the size of a plum stone. The white part is edible and has a subtle, sweet flavour with the texture of wet cotton wool. If I had to compare them to anything it would be lychees, although I'm not too sure why. They are definitely the strangest naturally occurring thing I have eaten.
This little fruit below is called umbu, and unfortunately by the time we found out about it, the season had passed. We did get to try it once - the skin was quite thick and by the time we got into it, most of the juice was running down our arms! The flavour was very sour and citrusy, like a more flavoursome lemon. I'd love to have tried it as a juice and will make a mental note to try it again if I get the opportunity.
Next up is possibly the most controversial fruit we encountered - CupuaƧu. It's the things in the photo below that aren't bananas. After several tries, I decided that I definitely do not like it, whereas David is still torn. We had it as juice, in chocolate, as a kind of jam and as ice cream. Without sugar it is truly disgusting and with it...well I think it's probably the Marmite of the fruit world.
This was the first really weird fruit we tried in Brazil and as disgusting as it was (we made the error of not asking for sugar!), it didn't put us off. After that, we tried as many different fruits as we could and they almost all came in the form of juices.
This is acerola, which we saw translated on menus as "Barbados cherry"...whatever that is! This fruit is very high in vitamin C and has an extremely sour flavour. It is often combined with other juices, usually orange, and we even had it in a caipirinha once. It has a stone in the middle and a texture somewhere between a cherry and a grape.
This is a bottle of suco de caju - cashew juice. Here is has been made into a fizzy drink but it is usually served as a normal fruit juice. If you have never considered where cashew nuts come from, I suggest googling it - it's fascinating! The juice tastes a bit like cloudy apple juice, with a subtle nutty aftertaste. Quite nice really, but not something I'll miss.
One of our favourite places to get juice was Bibi Suco - a relatively healthy restaurant that served juices made from frozen pulps. We probably liked them so much because they were a bit like a slushy and full of sugar! Below you can see blackberry on the right, which tasted just like a coulis! And on the left is caja, another Amazonian fruit containing a lot of vitamin C. The fruit itself looks like a small mango and tastes very sour and "tropical" - similar to a mixture of orange and mango really. It became one of David's favourites and I think he does miss this one.
Other juices we tried were watermelon (my favourite), pineapple and mint, tamarind, mango, strawberry, custard apple, and Dave's absolute favourite, graviola. Someone recently pointed out to me that graviola juice can be bought here - Rubicon make it and call it guanabana. Having tried it at least a dozen times, the best we can come up with is to describe the flavour as a bit like pineapple, or just generic "tropical" flavour. It's white in colour with quite a thick consistency and makes an amazing ice cream.